-- To do --
The reader should set down all of the notes below without additions.

-- Material --
-- begin --
[1]
The following is a GGA-PBE calculation of a relaxed structure of Os2AuCl, from Alexandria via LeMat-Bulk.

Computed properties:
polymorph energy (0 for the lowest one) = 1109 meV/atom
DOS at the Fermi energy = 10.03 states/eV per cell
calculated total energy = -5.460 eV per atom

Lattice parameters (Å, degrees): 5.8714 7.7810 2.7735 90.00 90.00 90.00
Space group Cmmm (No. 65)
Inequivalent atoms, fractional coordinates:
Os 0.2500 0.2500 0.0000 x4
Au 0.0000 0.0000 0.5000 x2
Cl 0.0000 0.5000 0.5000 x2

[2]
The following is a GGA-PBE calculation of a relaxed structure of Li2AgMo, from Alexandria via LeMat-Bulk.

Computed properties:
polymorph energy (0 for the lowest one) = 0 meV/atom
DOS at the Fermi energy = 7.02 states/eV per cell
calculated total energy = -4.203 eV per atom
formation energy = 0.175 eV/atom

Lattice parameters (Å, degrees): 3.0955 4.3441 9.4240 90.00 90.00 90.00
Space group Cmmm (No. 65)
Inequivalent atoms, fractional coordinates:
Li 0.0000 0.0000 0.2477 x4
Ag 0.0000 0.5000 0.0000 x2
Mo 0.0000 0.5000 0.5000 x2

[3]
The following is a GGA-PBE calculation of a relaxed structure of TlF, from Alexandria via LeMat-Bulk.

Computed properties:
polymorph energy (0 for the lowest one) = 78 meV/atom
DOS at the Fermi energy = 0.00 states/eV per cell
calculated total energy = -3.797 eV per atom

Lattice parameters (Å, degrees): 7.5507 7.5507 7.5507 90.00 90.00 90.00
Space group Pm-3n (No. 223)
Inequivalent atoms, fractional coordinates:
Tl 0.0000 0.2500 0.5000 x6
F 0.0000 0.5000 0.2500 x6

Look up the DOS at the Fermi energy of the third one.
0.00 states/eV per cell
-- stop --

-- Outcome --
[1]
The following is a GGA-PBE calculation of a relaxed structure of Os2AuCl, from Alexandria via LeMat-Bulk.

Computed properties:
polymorph energy (0 for the lowest one) = 1109 meV/atom
DOS at the Fermi energy = 10.03 states/eV per cell
calculated total energy = -5.460 eV per atom

Lattice parameters (Å, degrees): 5.8714 7.7810 2.7735 90.00 90.00 90.00
Space group Cmmm (No. 65)
Inequivalent atoms, fractional coordinates:
Os 0.2500 0.2500 0.0000 x4
Au 0.0000 0.0000 0.5000 x2
Cl 0.0000 0.5000 0.5000 x2

[2]
The following is a GGA-PBE calculation of a relaxed structure of Li2AgMo, from Alexandria via LeMat-Bulk.

Computed properties:
polymorph energy (0 for the lowest one) = 0 meV/atom
DOS at the Fermi energy = 7.02 states/eV per cell
calculated total energy = -4.203 eV per atom
formation energy = 0.175 eV/atom

Lattice parameters (Å, degrees): 3.0955 4.3441 9.4240 90.00 90.00 90.00
Space group Cmmm (No. 65)
Inequivalent atoms, fractional coordinates:
Li 0.0000 0.0000 0.2477 x4
Ag 0.0000 0.5000 0.0000 x2
Mo 0.0000 0.5000 0.5000 x2

[3]
The following is a GGA-PBE calculation of a relaxed structure of TlF, from Alexandria via LeMat-Bulk.

Computed properties:
polymorph energy (0 for the lowest one) = 78 meV/atom
DOS at the Fermi energy = 0.00 states/eV per cell
calculated total energy = -3.797 eV per atom

Lattice parameters (Å, degrees): 7.5507 7.5507 7.5507 90.00 90.00 90.00
Space group Pm-3n (No. 223)
Inequivalent atoms, fractional coordinates:
Tl 0.0000 0.2500 0.5000 x6
F 0.0000 0.5000 0.2500 x6

Look up the DOS at the Fermi energy of the third one.
0.00 states/eV per cell